Print the whole of the block below with every line break kept.
<<<
Record 1
# K2GaBr3
Theoretical X-ray powder pattern, Cu Kα (λ = 1.5418 Å). Input: a GGA-PBE-relaxed structure.

Top 8 peaks for 2θ from 5° to 70°, in order of falling intensity:
| 2theta | d_spacing | I/Imax |
| --- | --- | --- |
| 27.1 | 3.291 | 100 |
| 38.6 | 2.335 | 89 |
| 26.9 | 3.316 | 47 |
| 63.1 | 1.474 | 24 |
| 47.7 | 1.908 | 19 |
| 38.8 | 2.322 | 18 |
| 47.8 | 1.902 | 18 |
| 23.3 | 3.810 | 13 |

Cell and atoms:
abc: 4.6655 13.9315 6.6315
angles: 90.00 90.00 90.00
Space group Pmmn (No. 59, origin choice 2)
Asymmetric unit:
K: 0.2500 0.0825 0.2484 [4 per cell]
Ga: 0.2500 0.7500 0.2380 [2 per cell]
Br: 0.2500 0.0897 0.7486 [4 per cell]
Br: 0.2500 0.7500 0.7987 [2 per cell]



Record 2
# LiLaB2
Theoretical X-ray powder pattern, Cu Kα (λ = 1.5418 Å). Input: a GGA-PBE-relaxed structure.

Top 8 peaks for 2θ from 5° to 70°, in order of falling intensity:
| 2theta | d_spacing | I/Imax |
| --- | --- | --- |
| 23.4 | 3.809 | 100 |
| 34.3 | 2.612 | 70 |
| 28.7 | 3.110 | 58 |
| 52.4 | 1.747 | 42 |
| 37.3 | 2.409 | 28 |
| 48.5 | 1.876 | 26 |
| 47.7 | 1.905 | 19 |
| 68.6 | 1.368 | 18 |

Cell and atoms:
abc: 3.9318 3.9318 15.2442
angles: 90.00 90.00 90.00
Space group I4_1/amd (No. 141, origin choice 2)
Asymmetric unit:
Li: 0.0000 0.2500 0.3750 [4 per cell]
La: 0.0000 0.2500 0.8750 [4 per cell]
B: 0.0000 0.0000 0.5000 [8 per cell]



Record 3
# Dy5Si2Sn2
Theoretical X-ray powder pattern, Cu Kα (λ = 1.5418 Å). Input: a GGA-PBE-relaxed structure.

Top 8 peaks for 2θ from 5° to 70°, in order of falling intensity:
| 2theta | d_spacing | I/Imax |
| --- | --- | --- |
| 32.9 | 2.726 | 100 |
| 34.8 | 2.575 | 44 |
| 32.4 | 2.762 | 44 |
| 33.6 | 2.667 | 38 |
| 31.1 | 2.875 | 36 |
| 25.5 | 3.497 | 35 |
| 36.8 | 2.441 | 30 |
| 36.9 | 2.435 | 30 |

Cell and atoms:
abc: 15.2264 7.8246 7.7973
angles: 90.00 90.00 90.00
Space group Cmce (No. 64)
Asymmetric unit:
Dy: 0.0000 0.0000 0.0000 [4 per cell]
Dy: 0.1281 0.1764 0.3249 [16 per cell]
Si: 0.0000 0.1200 0.6209 [8 per cell]
Sn: 0.2125 0.0000 0.0000 [8 per cell]



Repeat the third record exactly.
# Dy5Si2Sn2
Theoretical X-ray powder pattern, Cu Kα (λ = 1.5418 Å). Input: a GGA-PBE-relaxed structure.

Top 8 peaks for 2θ from 5° to 70°, in order of falling intensity:
| 2theta | d_spacing | I/Imax |
| --- | --- | --- |
| 32.9 | 2.726 | 100 |
| 34.8 | 2.575 | 44 |
| 32.4 | 2.762 | 44 |
| 33.6 | 2.667 | 38 |
| 31.1 | 2.875 | 36 |
| 25.5 | 3.497 | 35 |
| 36.8 | 2.441 | 30 |
| 36.9 | 2.435 | 30 |

Cell and atoms:
abc: 15.2264 7.8246 7.7973
angles: 90.00 90.00 90.00
Space group Cmce (No. 64)
Asymmetric unit:
Dy: 0.0000 0.0000 0.0000 [4 per cell]
Dy: 0.1281 0.1764 0.3249 [16 per cell]
Si: 0.0000 0.1200 0.6209 [8 per cell]
Sn: 0.2125 0.0000 0.0000 [8 per cell]



Repeat the second record exactly.
# LiLaB2
Theoretical X-ray powder pattern, Cu Kα (λ = 1.5418 Å). Input: a GGA-PBE-relaxed structure.

Top 8 peaks for 2θ from 5° to 70°, in order of falling intensity:
| 2theta | d_spacing | I/Imax |
| --- | --- | --- |
| 23.4 | 3.809 | 100 |
| 34.3 | 2.612 | 70 |
| 28.7 | 3.110 | 58 |
| 52.4 | 1.747 | 42 |
| 37.3 | 2.409 | 28 |
| 48.5 | 1.876 | 26 |
| 47.7 | 1.905 | 19 |
| 68.6 | 1.368 | 18 |

Cell and atoms:
abc: 3.9318 3.9318 15.2442
angles: 90.00 90.00 90.00
Space group I4_1/amd (No. 141, origin choice 2)
Asymmetric unit:
Li: 0.0000 0.2500 0.3750 [4 per cell]
La: 0.0000 0.2500 0.8750 [4 per cell]
B: 0.0000 0.0000 0.5000 [8 per cell]

=====

# 1
This entry pairs a crystal structure of Dy2Tm2Sc5 with its simulated XRD peak list. Radiation: Cu Kα (λ = 1.5418 Å). Structure: a cell relaxed with PBE.

Most intense lines, 5 to 70 degrees two-theta, low angle first:
| d (Å) | 2θ/deg | I (rel.) |
| --- | --- | --- |
| 6.738 | 13.14 | 74 |
| 5.215 | 17.00 | 45 |
| 3.881 | 22.91 | 45 |
| 3.205 | 27.84 | 56 |
| 2.911 | 30.72 | 85 |
| 2.729 | 32.82 | 100 |
| 2.682 | 33.41 | 44 |
| 2.665 | 33.63 | 52 |
| 2.651 | 33.81 | 100 |
| 2.594 | 34.58 | 83 |

Cell and atoms:
abc: 8.8350 8.8350 8.8350
angles: 97.74 124.20 107.65
>>>
Record 1
# K2GaBr3
Theoretical X-ray powder pattern, Cu Kα (λ = 1.5418 Å). Input: a GGA-PBE-relaxed structure.

Top 8 peaks for 2θ from 5° to 70°, in order of falling intensity:
| 2theta | d_spacing | I/Imax |
| --- | --- | --- |
| 27.1 | 3.291 | 100 |
| 38.6 | 2.335 | 89 |
| 26.9 | 3.316 | 47 |
| 63.1 | 1.474 | 24 |
| 47.7 | 1.908 | 19 |
| 38.8 | 2.322 | 18 |
| 47.8 | 1.902 | 18 |
| 23.3 | 3.810 | 13 |

Cell and atoms:
abc: 4.6655 13.9315 6.6315
angles: 90.00 90.00 90.00
Space group Pmmn (No. 59, origin choice 2)
Asymmetric unit:
K: 0.2500 0.0825 0.2484 [4 per cell]
Ga: 0.2500 0.7500 0.2380 [2 per cell]
Br: 0.2500 0.0897 0.7486 [4 per cell]
Br: 0.2500 0.7500 0.7987 [2 per cell]



Record 2
# LiLaB2
Theoretical X-ray powder pattern, Cu Kα (λ = 1.5418 Å). Input: a GGA-PBE-relaxed structure.

Top 8 peaks for 2θ from 5° to 70°, in order of falling intensity:
| 2theta | d_spacing | I/Imax |
| --- | --- | --- |
| 23.4 | 3.809 | 100 |
| 34.3 | 2.612 | 70 |
| 28.7 | 3.110 | 58 |
| 52.4 | 1.747 | 42 |
| 37.3 | 2.409 | 28 |
| 48.5 | 1.876 | 26 |
| 47.7 | 1.905 | 19 |
| 68.6 | 1.368 | 18 |

Cell and atoms:
abc: 3.9318 3.9318 15.2442
angles: 90.00 90.00 90.00
Space group I4_1/amd (No. 141, origin choice 2)
Asymmetric unit:
Li: 0.0000 0.2500 0.3750 [4 per cell]
La: 0.0000 0.2500 0.8750 [4 per cell]
B: 0.0000 0.0000 0.5000 [8 per cell]



Record 3
# Dy5Si2Sn2
Theoretical X-ray powder pattern, Cu Kα (λ = 1.5418 Å). Input: a GGA-PBE-relaxed structure.

Top 8 peaks for 2θ from 5° to 70°, in order of falling intensity:
| 2theta | d_spacing | I/Imax |
| --- | --- | --- |
| 32.9 | 2.726 | 100 |
| 34.8 | 2.575 | 44 |
| 32.4 | 2.762 | 44 |
| 33.6 | 2.667 | 38 |
| 31.1 | 2.875 | 36 |
| 25.5 | 3.497 | 35 |
| 36.8 | 2.441 | 30 |
| 36.9 | 2.435 | 30 |

Cell and atoms:
abc: 15.2264 7.8246 7.7973
angles: 90.00 90.00 90.00
Space group Cmce (No. 64)
Asymmetric unit:
Dy: 0.0000 0.0000 0.0000 [4 per cell]
Dy: 0.1281 0.1764 0.3249 [16 per cell]
Si: 0.0000 0.1200 0.6209 [8 per cell]
Sn: 0.2125 0.0000 0.0000 [8 per cell]



Repeat the third record exactly.
# Dy5Si2Sn2
Theoretical X-ray powder pattern, Cu Kα (λ = 1.5418 Å). Input: a GGA-PBE-relaxed structure.

Top 8 peaks for 2θ from 5° to 70°, in order of falling intensity:
| 2theta | d_spacing | I/Imax |
| --- | --- | --- |
| 32.9 | 2.726 | 100 |
| 34.8 | 2.575 | 44 |
| 32.4 | 2.762 | 44 |
| 33.6 | 2.667 | 38 |
| 31.1 | 2.875 | 36 |
| 25.5 | 3.497 | 35 |
| 36.8 | 2.441 | 30 |
| 36.9 | 2.435 | 30 |

Cell and atoms:
abc: 15.2264 7.8246 7.7973
angles: 90.00 90.00 90.00
Space group Cmce (No. 64)
Asymmetric unit:
Dy: 0.0000 0.0000 0.0000 [4 per cell]
Dy: 0.1281 0.1764 0.3249 [16 per cell]
Si: 0.0000 0.1200 0.6209 [8 per cell]
Sn: 0.2125 0.0000 0.0000 [8 per cell]



Repeat the second record exactly.
# LiLaB2
Theoretical X-ray powder pattern, Cu Kα (λ = 1.5418 Å). Input: a GGA-PBE-relaxed structure.

Top 8 peaks for 2θ from 5° to 70°, in order of falling intensity:
| 2theta | d_spacing | I/Imax |
| --- | --- | --- |
| 23.4 | 3.809 | 100 |
| 34.3 | 2.612 | 70 |
| 28.7 | 3.110 | 58 |
| 52.4 | 1.747 | 42 |
| 37.3 | 2.409 | 28 |
| 48.5 | 1.876 | 26 |
| 47.7 | 1.905 | 19 |
| 68.6 | 1.368 | 18 |

Cell and atoms:
abc: 3.9318 3.9318 15.2442
angles: 90.00 90.00 90.00
Space group I4_1/amd (No. 141, origin choice 2)
Asymmetric unit:
Li: 0.0000 0.2500 0.3750 [4 per cell]
La: 0.0000 0.2500 0.8750 [4 per cell]
B: 0.0000 0.0000 0.5000 [8 per cell]

=====

# 1
This entry pairs a crystal structure of Dy2Tm2Sc5 with its simulated XRD peak list. Radiation: Cu Kα (λ = 1.5418 Å). Structure: a cell relaxed with PBE.

Most intense lines, 5 to 70 degrees two-theta, low angle first:
| d (Å) | 2θ/deg | I (rel.) |
| --- | --- | --- |
| 6.738 | 13.14 | 74 |
| 5.215 | 17.00 | 45 |
| 3.881 | 22.91 | 45 |
| 3.205 | 27.84 | 56 |
| 2.911 | 30.72 | 85 |
| 2.729 | 32.82 | 100 |
| 2.682 | 33.41 | 44 |
| 2.665 | 33.63 | 52 |
| 2.651 | 33.81 | 100 |
| 2.594 | 34.58 | 83 |

Cell and atoms:
abc: 8.8350 8.8350 8.8350
angles: 97.74 124.20 107.65